File.
┌──
[1]
SbSe6IF6: optimized geometry, GGA-PBE.

Values from the calculation:
symmetry: P2/c (13)
ΔH_f (0 K): -1.377 eV/atom
V: 25.7 A^3/atom
theoretical density: 3.862 Mg/m³

POSCAR file:
```
SbSe6IF6
1.0
9.496 0.000 0.000
0.000 7.259 0.000
-5.963 0.000 10.435
Sb Se I F
2 12 2 12
Cartesian
0.000 0.000 0.000
-2.982 0.000 5.218
0.006 3.138 4.005
-2.975 4.121 9.223
-2.082 1.866 9.271
0.899 5.393 4.053
1.881 1.781 4.071
-1.101 5.477 9.289
4.634 1.781 1.146
1.652 5.477 6.364
2.634 1.866 6.382
5.615 5.393 1.164
6.508 3.138 1.213
3.527 4.121 6.430
0.276 2.009 7.826
3.257 5.250 2.609
-3.056 1.601 6.283
-0.074 5.657 1.066
-1.581 0.761 4.146
-4.562 6.498 9.363
1.326 0.746 1.186
-1.656 6.513 6.403
5.189 0.746 4.032
2.207 6.513 9.249
8.095 0.761 1.072
5.114 6.498 6.289
3.607 1.601 9.370
6.589 5.657 4.152
```

[2]
SbSeI3F6: optimized geometry, GGA-PBE.

Values from the calculation:
symmetry: P2_1/c (14)
ΔH_f (0 K): -1.719 eV/atom
V: 27.5 A^3/atom
theoretical density: 3.818 Mg/m³

POSCAR file:
```
SbSeI3F6
1.0
8.852 0.000 0.000
0.000 10.542 0.000
-1.827 0.000 12.965
Sb Se I F
4 4 12 24
Cartesian
1.648 2.331 0.871
0.734 2.941 7.353
6.291 7.602 5.612
5.377 8.212 12.094
0.476 7.290 9.174
1.389 8.523 2.692
5.636 2.019 10.273
6.549 3.252 3.791
1.351 6.164 3.625
0.438 9.650 10.108
0.704 5.782 11.213
1.618 10.031 4.731
2.755 7.182 8.039
3.668 8.632 1.557
3.357 1.911 11.408
4.270 3.360 4.926
5.407 0.511 8.234
6.320 4.760 1.752
6.587 0.892 2.857
5.674 4.379 9.340
-0.870 2.476 6.406
-1.783 2.795 12.889
0.954 0.577 1.236
0.040 4.694 7.719
-0.015 2.267 8.987
0.899 3.004 2.505
0.586 1.680 12.174
1.499 3.591 5.691
1.465 1.190 6.952
2.378 4.081 0.469
3.287 1.883 1.752
2.374 3.388 8.234
4.651 7.155 4.731
3.737 8.659 11.213
4.646 6.462 12.496
5.560 9.352 6.013
5.526 6.951 7.274
6.439 8.862 0.791
6.126 7.538 10.460
7.040 8.276 3.978
6.984 5.848 5.246
6.071 9.965 11.729
8.808 7.747 0.076
7.895 8.066 6.559
```

[3]
Sn2IF2: optimized geometry, GGA-PBE.

Values from the calculation:
symmetry: Cmcm (63)
ΔH_f (0 K): -1.565 eV/atom
V: 24.4 A^3/atom
theoretical density: 5.487 Mg/m³

POSCAR file:
```
Sn2IF2
1.0
2.181 -5.889 0.000
2.181 5.889 0.000
0.000 0.000 9.480
Sn I F
4 2 4
Cartesian
2.181 4.382 5.502
2.181 4.382 8.718
2.181 -4.382 0.762
2.181 -4.382 3.978
2.181 0.617 7.110
2.181 -0.617 2.370
2.181 2.532 0.638
2.181 2.532 4.102
2.181 -2.532 5.378
2.181 -2.532 8.842
```

[4]
Sn3IF5: optimized geometry, GGA-PBE.

Values from the calculation:
symmetry: P2_1/c (14)
ΔH_f (0 K): -2.221 eV/atom
V: 21.1 A^3/atom
theoretical density: 5.049 Mg/m³

POSCAR file:
```
Sn3IF5
1.0
4.342 0.000 0.000
0.000 13.189 0.000
-4.277 0.000 13.279
Sn I F
12 4 20
Cartesian
0.264 1.453 1.406
-1.875 5.142 8.046
0.328 8.658 1.740
-1.810 11.126 8.379
-2.669 8.181 11.284
-0.530 11.603 4.645
0.595 1.587 8.634
2.734 5.008 1.995
1.875 2.063 4.900
-0.263 4.532 11.539
1.940 8.048 5.233
-0.199 11.736 11.873
-2.067 1.568 11.681
0.071 5.026 5.041
-0.006 8.163 8.238
2.132 11.621 1.598
-2.145 0.114 8.259
-0.007 6.481 1.620
-2.067 2.906 8.032
0.072 3.688 1.392
0.169 1.391 3.656
-1.970 5.204 10.296
-0.048 8.728 4.515
-2.187 11.056 11.155
1.847 8.177 0.189
-0.291 11.607 6.829
0.356 1.582 6.450
-1.782 5.012 13.090
2.252 2.133 2.124
0.113 4.461 8.763
2.034 7.986 2.983
-0.104 11.798 9.622
-0.007 9.501 11.887
2.132 10.283 5.247
0.072 6.708 11.659
2.210 13.076 5.020
```

[5]
XeIF7: optimized geometry, GGA-PBE.

Values from the calculation:
symmetry: I4/m (87)
ΔH_f (0 K): -1.587 eV/atom
V: 19.3 A^3/atom
theoretical density: 3.742 Mg/m³

POSCAR file:
```
XeIF7
1.0
-3.925 3.925 5.633
3.925 -3.925 5.633
3.925 3.925 -5.633
Xe I F
2 2 14
Cartesian
3.925 0.000 0.000
0.000 3.925 0.000
0.000 0.000 2.404
0.000 0.000 8.861
4.395 2.082 -2.929
5.881 0.736 0.000
2.082 3.456 -2.929
0.736 1.970 0.000
1.843 0.470 2.704
0.000 0.000 4.275
-0.470 1.843 2.704
4.395 2.082 2.929
0.000 0.000 6.990
2.082 3.456 2.929
3.190 1.955 5.633
1.843 0.470 8.561
-1.955 3.190 5.633
-0.470 1.843 8.561
```

[6]
KIn2F7: optimized geometry, GGA-PBE.
└──

Brief.
Duplicate the notes earlier on without altering anything.

Result.
[1]
SbSe6IF6: optimized geometry, GGA-PBE.

Values from the calculation:
symmetry: P2/c (13)
ΔH_f (0 K): -1.377 eV/atom
V: 25.7 A^3/atom
theoretical density: 3.862 Mg/m³

POSCAR file:
```
SbSe6IF6
1.0
9.496 0.000 0.000
0.000 7.259 0.000
-5.963 0.000 10.435
Sb Se I F
2 12 2 12
Cartesian
0.000 0.000 0.000
-2.982 0.000 5.218
0.006 3.138 4.005
-2.975 4.121 9.223
-2.082 1.866 9.271
0.899 5.393 4.053
1.881 1.781 4.071
-1.101 5.477 9.289
4.634 1.781 1.146
1.652 5.477 6.364
2.634 1.866 6.382
5.615 5.393 1.164
6.508 3.138 1.213
3.527 4.121 6.430
0.276 2.009 7.826
3.257 5.250 2.609
-3.056 1.601 6.283
-0.074 5.657 1.066
-1.581 0.761 4.146
-4.562 6.498 9.363
1.326 0.746 1.186
-1.656 6.513 6.403
5.189 0.746 4.032
2.207 6.513 9.249
8.095 0.761 1.072
5.114 6.498 6.289
3.607 1.601 9.370
6.589 5.657 4.152
```

[2]
SbSeI3F6: optimized geometry, GGA-PBE.

Values from the calculation:
symmetry: P2_1/c (14)
ΔH_f (0 K): -1.719 eV/atom
V: 27.5 A^3/atom
theoretical density: 3.818 Mg/m³

POSCAR file:
```
SbSeI3F6
1.0
8.852 0.000 0.000
0.000 10.542 0.000
-1.827 0.000 12.965
Sb Se I F
4 4 12 24
Cartesian
1.648 2.331 0.871
0.734 2.941 7.353
6.291 7.602 5.612
5.377 8.212 12.094
0.476 7.290 9.174
1.389 8.523 2.692
5.636 2.019 10.273
6.549 3.252 3.791
1.351 6.164 3.625
0.438 9.650 10.108
0.704 5.782 11.213
1.618 10.031 4.731
2.755 7.182 8.039
3.668 8.632 1.557
3.357 1.911 11.408
4.270 3.360 4.926
5.407 0.511 8.234
6.320 4.760 1.752
6.587 0.892 2.857
5.674 4.379 9.340
-0.870 2.476 6.406
-1.783 2.795 12.889
0.954 0.577 1.236
0.040 4.694 7.719
-0.015 2.267 8.987
0.899 3.004 2.505
0.586 1.680 12.174
1.499 3.591 5.691
1.465 1.190 6.952
2.378 4.081 0.469
3.287 1.883 1.752
2.374 3.388 8.234
4.651 7.155 4.731
3.737 8.659 11.213
4.646 6.462 12.496
5.560 9.352 6.013
5.526 6.951 7.274
6.439 8.862 0.791
6.126 7.538 10.460
7.040 8.276 3.978
6.984 5.848 5.246
6.071 9.965 11.729
8.808 7.747 0.076
7.895 8.066 6.559
```

[3]
Sn2IF2: optimized geometry, GGA-PBE.

Values from the calculation:
symmetry: Cmcm (63)
ΔH_f (0 K): -1.565 eV/atom
V: 24.4 A^3/atom
theoretical density: 5.487 Mg/m³

POSCAR file:
```
Sn2IF2
1.0
2.181 -5.889 0.000
2.181 5.889 0.000
0.000 0.000 9.480
Sn I F
4 2 4
Cartesian
2.181 4.382 5.502
2.181 4.382 8.718
2.181 -4.382 0.762
2.181 -4.382 3.978
2.181 0.617 7.110
2.181 -0.617 2.370
2.181 2.532 0.638
2.181 2.532 4.102
2.181 -2.532 5.378
2.181 -2.532 8.842
```

[4]
Sn3IF5: optimized geometry, GGA-PBE.

Values from the calculation:
symmetry: P2_1/c (14)
ΔH_f (0 K): -2.221 eV/atom
V: 21.1 A^3/atom
theoretical density: 5.049 Mg/m³

POSCAR file:
```
Sn3IF5
1.0
4.342 0.000 0.000
0.000 13.189 0.000
-4.277 0.000 13.279
Sn I F
12 4 20
Cartesian
0.264 1.453 1.406
-1.875 5.142 8.046
0.328 8.658 1.740
-1.810 11.126 8.379
-2.669 8.181 11.284
-0.530 11.603 4.645
0.595 1.587 8.634
2.734 5.008 1.995
1.875 2.063 4.900
-0.263 4.532 11.539
1.940 8.048 5.233
-0.199 11.736 11.873
-2.067 1.568 11.681
0.071 5.026 5.041
-0.006 8.163 8.238
2.132 11.621 1.598
-2.145 0.114 8.259
-0.007 6.481 1.620
-2.067 2.906 8.032
0.072 3.688 1.392
0.169 1.391 3.656
-1.970 5.204 10.296
-0.048 8.728 4.515
-2.187 11.056 11.155
1.847 8.177 0.189
-0.291 11.607 6.829
0.356 1.582 6.450
-1.782 5.012 13.090
2.252 2.133 2.124
0.113 4.461 8.763
2.034 7.986 2.983
-0.104 11.798 9.622
-0.007 9.501 11.887
2.132 10.283 5.247
0.072 6.708 11.659
2.210 13.076 5.020
```

[5]
XeIF7: optimized geometry, GGA-PBE.

Values from the calculation:
symmetry: I4/m (87)
ΔH_f (0 K): -1.587 eV/atom
V: 19.3 A^3/atom
theoretical density: 3.742 Mg/m³

POSCAR file:
```
XeIF7
1.0
-3.925 3.925 5.633
3.925 -3.925 5.633
3.925 3.925 -5.633
Xe I F
2 2 14
Cartesian
3.925 0.000 0.000
0.000 3.925 0.000
0.000 0.000 2.404
0.000 0.000 8.861
4.395 2.082 -2.929
5.881 0.736 0.000
2.082 3.456 -2.929
0.736 1.970 0.000
1.843 0.470 2.704
0.000 0.000 4.275
-0.470 1.843 2.704
4.395 2.082 2.929
0.000 0.000 6.990
2.082 3.456 2.929
3.190 1.955 5.633
1.843 0.470 8.561
-1.955 3.190 5.633
-0.470 1.843 8.561
```

[6]
KIn2F7: optimized geometry, GGA-PBE.